Page 87 - IJEEE-2022-Vol18-ISSUE-1
P. 87
Ali & Rashid | 83
Before entering RD, the Recontacted combination process robustness. Similarly, L. has been suggested a new
(vapor and liquid) is chilled with cooling water in the RD proportional—integral—derivative (PID) controller auto-
Cooler. tuners using frequency sampling filters (FSFs) for the
estimation of plant frequency response information under
Two PI controllers control the liquid level and pressure relay feedback control [19]. Additionally, K.
in the flash drum, and this control system also includes a Sinthipsomboon et al. have formulated a hybrid of fuzzy and
pressure relief valve. The three PID controllers have distinct fuzzy self-tuning PID controller for motor speed control of a
actions in the process. The proportional controller (Kp) SEHS. The described control technique consists of two
reduced rise time reduces but does not eliminate steady-state components: a fuzzy controller and a fuzzy self-tuning PID
error. Integral control (KI) eliminates steady-state error but controller [20]. Despite various approaches available to
may exacerbate abrupt response. A derivative control (KD) develop PID controllers for integrated systems, a review of
improves system stability, reduces overshoot, and improves the literature suggests that there is still room to enhance the
transient responsiveness. When the valve regulating the performance and durability of these controllers. For the
outlet vapor stream from the drum fails, modifying the tuning regulation of integrating processes, many authors presented
parameters of one of the other PI controllers while the safety a complicated structure with a large number of controllers.
system is activated improves closed-loop performance
compared to the case where the tuning parameters of that PI In this paper, a part of the operation process represented
controller remain the same. by the “Enhancing Gasoline Production” unit has been
studied that is located in Basrah Refinery, South of Iraq to
Despite the evolution of more advanced control improve the performance of this system that already has a PI
techniques, proportional-integral-derivative (PID) controller but with manual tuning. This operation process is
controllers are still widely used in the process industries [11]. performed by a separator drum, in which a mathematical
PI controllers are often used to control industrial process model of this drum is derived and then the performance of
variables (e.g., position, speed, current, temperature, the process operation is evaluated by MATLAB. PID
pressure, humidity, and level); in reality, the derivative controller has been designed to improve the performance of
section is usually turned off due to measurement noise. For the system, in which optimal PID parameters have been
• Unrelated to this entry: records of molecules:
┌──
# 1
# C4H6N2O

C4H6N2O in the gas phase (ωB97M-V with the def2-TZVPD basis set, the OMol25 dataset).

Cartesian coordinates (Å):
C 2.015 0.487 0.127
C 0.605 -0.011 0.065
C 0.164 -1.292 0.193
N -1.381 -1.100 0.082
C -1.500 0.228 -0.092
O -2.677 0.848 -0.284
N -0.391 0.910 -0.100
H 2.179 0.944 1.110
H 2.140 1.261 -0.635
H 2.776 -0.286 -0.016
H 0.829 -2.097 -0.179
H -2.293 -1.565 0.250
H -2.392 1.759 -0.486

Output
SMILES string: Cc1c[nH]c(O)n1

Atom charges from the Mulliken analysis, given in e for atoms 1 to 4: atom 1 (C): -0.99, atom 2 (C): 0.62, atom 3 (C): -0.52, atom 4 (N): -0.12


# 2
# C4H6N2O

C4H6N2O in the gas phase (ωB97M-V with the def2-TZVPD basis set, the OMol25 dataset).

Cartesian coordinates (Å):
C 0.089 0.581 -2.050
C -0.055 -0.050 -0.716
N 0.432 -1.219 -0.385
C 0.185 -1.349 0.958
C -0.344 -0.196 1.448
O 0.112 0.424 2.574
N -0.621 0.597 0.348
H 0.893 0.051 -2.564
H 0.363 1.640 -1.968
H -0.830 0.494 -2.631
H 0.538 -2.171 1.563
H 0.451 -0.255 3.167
H -1.258 1.380 0.274

Output
SMILES string: Cc1ncc(O)[nH]1

Atom charges from the Mulliken analysis, given in e for atoms 1 to 4: atom 1 (C): -1.00, atom 2 (C): 0.46, atom 3 (N): -0.59, atom 4 (C): -0.46


# 3
# C4H6N2O

C4H6N2O in the gas phase (ωB97M-V with the def2-TZVPD basis set, the OMol25 dataset).

Cartesian coordinates (Å):
C 0.081 -0.780 -1.531
C 0.322 0.527 -0.779
C 0.062 0.529 0.492
C 0.073 0.726 1.929
N -0.528 -1.725 -0.984
N -0.638 -1.696 0.273
O 0.839 1.542 -1.582
H 0.550 -0.869 -2.571
H 0.238 -0.272 2.573
H 0.799 1.495 2.116
H -0.955 1.141 2.061
H -1.439 -2.274 0.513
H 0.597 1.657 -2.510

Atom charges from the Mulliken analysis, given in e for atoms 1 to 4: atom 1 (C): -0.27, atom 2 (C): 0.56, atom 3 (C): 0.29, atom 4 (C): -0.98


# 4
# C4H6N2O

A molecular structure, C4H6N2O (ωB97M-V with the def2-TZVPD basis set, the OMol25 dataset).

Cartesian coordinates (Å):
C -1.335 -0.016 -0.096
N -2.275 0.560 0.659
C 0.061 -0.473 1.144
C 1.254 0.200 -0.778
C 2.321 -0.598 -0.824
N 0.573 0.490 0.409
O -1.396 -0.428 -1.206
H -2.059 0.906 1.579
H -3.236 0.504 0.364
H -0.339 -0.043 2.082
H 0.924 0.767 -1.640
H 2.886 -0.704 -1.738
H 2.622 -1.166 0.044

Atom charges from the Mulliken analysis, given in e for atoms 1 to 4: atom 1 (C): 0.62, atom 2 (N): -0.34, atom 3 (C): -0.43, atom 4 (C): 0.21


# 5
# C4H6N2O

C4H6N2O in the gas phase (ωB97M-V with the def2-TZVPD basis set, the OMol25 dataset).

Cartesian coordinates (Å):
N -1.853 0.429 -0.002
C -0.427 0.345 0.067
C 0.705 1.203 0.047
C 1.803 0.387 0.000
N 1.378 -0.946 -0.013
C 0.017 -0.949 0.028
O -0.893 -1.928 0.011
H -2.202 0.713 -0.910
H -2.314 0.944 0.735
H 0.713 2.283 0.093
H 2.854 0.640 -0.002
H 1.989 -1.742 -0.097
H -1.716 -1.251 0.063

Output
SMILES string: Nc1cc[nH]c1O

Atom charges from the Mulliken analysis, given in e for atoms 1 to 4: atom 1 (N): -0.60, atom 2 (C): 1.03, atom 3 (C): -0.60, atom 4 (C): -0.64


# 6
# C4H6N2O

C4H6N2O in the gas phase (ωB97M-V with the def2-TZVPD basis set, the OMol25 dataset).
└──
pressure and level control in gas tanks, a PI controller is evaluated to achieve the best performance. Two methods are
sufficient. Adding the derivative element, on the other hand, used to evaluate the PID parameters, the first one by Ziegler
improves closed-loop stability and shortens the time it takes and Nichols method [21] and the second one by Autotuning
for the step response to climb [12]. Proportional, integral, method with new philosophy obtain. The proffered system is
and derivative control are the three components of PID simulated by MATLAB, and the results show the response
control, and determining the ideal value for these parameters has less overshoot, faster settle time, and is more resistant to
without knowing anything about the plant is difficult. disturbances.
Throughout the previous many decades, various open and
closed-loop-based tuning procedures have been submitted. This paper is organized as follows: In section II, there is
All tuning methods demonstrate how to find the optimal PID a description Enhancing Gasoline Production unit in Basrah
parameter value [13,14]. Refinery. Section III presents the modeling of the separator
drum system and PID controller auto-tuning. Section IV will
Tuning processes have the same goal which is to find show experiments and results for several scenarios in the
PID settings that allow the plant to overshoot less, settle case of manual and auto PID tuning. Finally, in Section V,
faster, and be more robust to disturbances. Various strategies conclusions have been presented.
for tuning PID controllers for integrating systems with time
delay have been presented in the literature. S. K. Pandey et II. BACKGROUND
al. were offered an auto-tuning algorithm for PID control
parameters[13]. A simple PID auto-tuning algorithm is South Refineries Company was founded in 1969
developed to implement and be applicable for the heating through the establishment of Basrah Refinery, which began
and cooling process. N.-S. Pai et al. have been suggested a production in 1974 by establishing (Refining Unit No. 1),
calculation method of a practical PI/PID controller tuning for which is mentioned in Fig. 1 which is one of the major
integrating processes with dead time and inverse response manufacturing units in the country where the production of
• Here the page breaks off for data records:
********
No. 1
Computed, not measured: a single C20H20N4O3S molecule in a non-equilibrium geometry, with ωB97M-V/def2-TZVPD.

The geometry in XYZ format:
```
48
Properties=species:S:1:pos:R:3:forces:R:3
C 1.2405 4.5487 7.5368 -1.4226 -1.7659 2.7978
C 0.8821 3.4192 6.6572 -0.4878 -0.2284 -0.4322
C 0.8315 2.1322 7.4568 2.2357 -0.3175 -2.0890
C 0.6214 3.5458 5.3323 2.0534 -0.5603 1.7829
C 0.3043 2.4076 4.4380 0.1186 1.3616 -0.0776
O -0.7925 1.9673 4.6368 -1.8045 -2.1915 -0.4591
N 1.0734 2.0521 3.3498 1.0888 0.2332 1.4458
C 0.6047 1.1264 2.3913 3.7484 2.0442 -1.3883
S -0.8552 0.2981 2.2641 -0.8205 0.1290 -0.6138
C -0.4717 -0.0277 0.5697 1.7281 -0.4751 -0.6027
N -1.3840 -0.7443 -0.2117 2.9014 2.3597 -2.9970
C -1.0883 -1.1357 -1.5855 0.5910 0.3319 -1.1858
C -0.1621 -0.4177 -2.4877 -1.4061 -1.2363 -1.9383
C -0.0541 -0.8928 -3.8257 -2.2905 -0.9934 2.2676
C -0.8853 -2.0214 -4.3675 3.0636 3.0681 4.2386
C -0.8565 -2.3852 -5.6303 -0.0349 -2.1966 -3.1996
C -1.5388 -3.5160 -6.0704 0.9156 0.5806 0.3532
C -1.4422 -3.8277 -7.5135 -2.7459 -0.4387 0.2891
O -1.5227 -2.7182 -8.3282 1.2823 1.9707 -0.3579
C -2.2358 -4.2718 -5.1383 -1.0789 -1.0218 -0.3842
C -2.3352 -3.7924 -3.8568 -1.0978 -2.2560 -0.6094
C -1.6032 -2.7440 -3.4452 -0.3137 2.3431 0.7253
C -1.7588 -2.1740 -2.1818 -0.7312 0.1489 3.3957
N 0.7486 0.3466 0.1785 -2.6616 -0.5855 1.3961
C 1.3626 1.0335 1.2165 -0.9271 -0.8009 -0.0347
C 2.6877 1.5925 0.8255 0.7895 2.6686 1.6928
N 3.2313 1.0639 -0.2742 -3.4445 -3.8063 0.5428
O 3.2398 2.5542 1.4116 -1.0450 -1.3351 -0.1013
H 0.8728 4.3792 8.6403 -0.1890 0.4947 -2.1162
H 0.9927 5.4758 7.1720 -0.5485 2.2802 -0.6831
H 2.2514 4.4819 7.7705 2.2723 0.1288 -0.1292
H 1.5046 2.1934 8.3608 -0.4101 -0.3264 -1.2390
H -0.1531 2.0395 7.8220 -1.2667 -0.5996 0.2653
H 1.1308 1.3518 6.6619 -0.6176 0.3950 1.9876
H 0.6680 4.5078 4.8927 0.0903 0.8729 -0.4706
H 2.0854 2.4287 3.2960 -2.2355 -0.9395 -0.5260
H -1.9077 -1.3572 0.2845 -2.0485 -2.2316 1.5104
H 0.1379 0.5842 -2.2260 0.7784 -0.2352 0.1050
H 0.5512 -0.4682 -4.5694 0.8554 1.1290 -0.5435
H -0.1464 -1.9471 -6.2869 0.3448 0.7770 -0.6060
H -0.6783 -4.4709 -7.7708 2.3358 -1.2181 -0.3749
H -2.3218 -4.3966 -7.7708 -0.5276 -0.3896 -0.0638
H -0.8326 -2.0851 -8.0189 -0.8847 -0.5581 -0.6739
H -2.7775 -5.2297 -5.3866 0.6073 1.2959 -0.0360
H -3.0212 -4.2568 -3.1850 -0.2060 -0.4522 0.5357
H -2.5480 -2.5969 -1.5614 0.0971 -0.3655 0.0386
H 3.7894 1.6290 -0.8116 1.5942 1.2241 -1.4390
H 2.5610 0.3180 -0.6613 1.7548 1.6876 0.0017
```
Positions in Å, forces in eV/Å.

Summary:
Charge = 0
SMILES string = CC(C)=CC(=O)Nc1sc(Nc2ccc3cc(CO)ccc3c2)nc1C(N)=O
HOMO-LUMO gap = 0.290 hartree
Molar mass = 396.47 Da



No. 2
Computed, not measured: a molecular structure, C25H23N7O2ReS in a non-equilibrium geometry, with ωB97M-V/def2-TZVPD.

The geometry in XYZ format:
```
59
Properties=species:S:1:pos:R:3:forces:R:3
Re -0.1590 -0.1698 0.0062 -1.2395 -0.1072 -0.5377
C -1.0266 -0.1134 3.5022 -0.0231 -0.0327 -0.1039
C -1.5390 1.0563 2.7293 -0.0305 -0.0089 0.1235
********
based on a model [15]. Analytical expressions for PI/PID oil derivatives using the latest scientific methods and
controller settings based on the model using a direct advanced technology in production, which resemble their
synthesis method for disturbance rejection (DS-d). when F. high-quality products, including foreign and meets the
Padula et al were presented tuning rules for integer-order and requirements of consumers. And continue to modernize and
fractional-order PID controllers [16]. The tuning rules have expand the company diversify their products and improve
been devised to minimize the integrated absolute error with quality, it has been done by the establishment of a refinery
a constraint on the maximum sensitivity. In 2016, K. Amoura and the second unit to improve gasoline and oil refinery [22].
et al. offered an experiential method for tuning a new type of Tasks of the company are:
fractional controller known as PID-Fractional-Order-Filter 1) Product the following: (Gasoline, Kerosene, Light gas
(FOF-PID) [17]. Furthermore, D. Castellanos-Cárdenas et al.
have been submitted an IMC-based PID tuning method for oil, diesel, Fuel oil, marine fuel oil, LPG, jet fuel)
inverse-response second-order plus, dead time systems [18]. 2) Product oils such as (Base lube oil grade 30, Pale 600k,
The tuning rules are based on the optimization of an
objective function that combines performance and Spindle oil, Bright Stock)
3) Plastic cans (capacity 1 liter, 5 liters), iron drums (200